**Data:**
********
[1]
K4Rb2Co2O5: theoretical powder diffraction line list (Cu Kα (weighted mean of Kα1 and Kα2)), based on the GGA+U geometry in the Materials Project.

Crystal structure
Unit cell a=6.8020 b=6.8020 c=11.8773 alpha=90.00 beta=90.00 gamma=90.00
Element x y z (fractional)
K 0.0000 0.0000 0.2210
K 0.0000 0.0000 0.7790
K 0.0000 0.5000 0.2500
K 0.0000 0.5000 0.7500
K 0.5000 0.0000 0.2500
K 0.5000 0.0000 0.7500
K 0.5000 0.5000 0.2790
K 0.5000 0.5000 0.7210
Rb 0.1864 0.1864 0.5000
Rb 0.3136 0.6864 0.0000
Rb 0.6864 0.3136 0.0000
Rb 0.8136 0.8136 0.5000
Co 0.2043 0.2043 0.0000
Co 0.2957 0.7043 0.5000
Co 0.7043 0.2957 0.5000
Co 0.7957 0.7957 0.0000
O 0.0000 0.0000 0.0000
O 0.2166 0.7834 0.3598
O 0.2166 0.7834 0.6402
O 0.2834 0.2834 0.1402
O 0.2834 0.2834 0.8598
O 0.5000 0.5000 0.5000
O 0.7166 0.7166 0.1402
O 0.7166 0.7166 0.8598
O 0.7834 0.2166 0.3598
O 0.7834 0.2166 0.6402

Largest 6 diffraction maxima, most intense first, 15 to 90 degrees two-theta:
- 30.29°, I = 100
- 33.09°, I = 40
- 37.39°, I = 34
- 30.10°, I = 30
- 42.55°, I = 24
- 29.36°, I = 19

***

[2]
NiAuO2: theoretical powder diffraction line list (Cu Kα (weighted mean of Kα1 and Kα2)), based on the GGA+U geometry in the Materials Project.

Crystal structure
Unit cell a=3.0334 b=3.0334 c=6.3292 alpha=103.88 beta=103.88 gamma=59.84
Element x y z (fractional)
Ni 0.0000 0.0000 0.0000
Au 0.5000 0.5000 0.5000
O 0.3896 0.3896 0.1688
O 0.6104 0.6104 0.8312

Largest 6 diffraction maxima, most intense first, 15 to 90 degrees two-theta:
- 35.59°, I = 100
- 39.61°, I = 56
- 29.37°, I = 46
- 34.52°, I = 37
- 53.20°, I = 35
- 61.94°, I = 22

***

[3]
SrEuNbVO6: theoretical powder diffraction line list (Cu Kα (weighted mean of Kα1 and Kα2)), based on the GGA+U geometry in the Materials Project.

Crystal structure
Unit cell a=5.6759 b=5.6759 c=5.6759 alpha=60.00 beta=60.00 gamma=60.00
Element x y z (fractional)
Sr 0.0000 0.0000 0.0000
Eu 0.5000 0.5000 0.5000
Nb 0.2500 0.2500 0.2500
V 0.7500 0.7500 0.7500
O 0.0003 0.0003 0.4997
O 0.0003 0.4997 0.0003
O 0.0003 0.4997 0.4997
O 0.4997 0.0003 0.0003
O 0.4997 0.0003 0.4997
O 0.4997 0.4997 0.0003

Largest 6 diffraction maxima, most intense first, 15 to 90 degrees two-theta:
- 31.52°, I = 100
- 56.13°, I = 39
- 45.18°, I = 33
- 65.82°, I = 20
- 74.81°, I = 17
- 38.87°, I = 11
********

**Assignment:**
What is needed: echo the material above without altering anything.

**Done:**
[1]
K4Rb2Co2O5: theoretical powder diffraction line list (Cu Kα (weighted mean of Kα1 and Kα2)), based on the GGA+U geometry in the Materials Project.

Crystal structure
Unit cell a=6.8020 b=6.8020 c=11.8773 alpha=90.00 beta=90.00 gamma=90.00
Element x y z (fractional)
K 0.0000 0.0000 0.2210
K 0.0000 0.0000 0.7790
K 0.0000 0.5000 0.2500
K 0.0000 0.5000 0.7500
K 0.5000 0.0000 0.2500
K 0.5000 0.0000 0.7500
K 0.5000 0.5000 0.2790
K 0.5000 0.5000 0.7210
Rb 0.1864 0.1864 0.5000
Rb 0.3136 0.6864 0.0000
Rb 0.6864 0.3136 0.0000
Rb 0.8136 0.8136 0.5000
Co 0.2043 0.2043 0.0000
Co 0.2957 0.7043 0.5000
Co 0.7043 0.2957 0.5000
Co 0.7957 0.7957 0.0000
O 0.0000 0.0000 0.0000
O 0.2166 0.7834 0.3598
O 0.2166 0.7834 0.6402
O 0.2834 0.2834 0.1402
O 0.2834 0.2834 0.8598
O 0.5000 0.5000 0.5000
O 0.7166 0.7166 0.1402
O 0.7166 0.7166 0.8598
O 0.7834 0.2166 0.3598
O 0.7834 0.2166 0.6402

Largest 6 diffraction maxima, most intense first, 15 to 90 degrees two-theta:
- 30.29°, I = 100
- 33.09°, I = 40
- 37.39°, I = 34
- 30.10°, I = 30
- 42.55°, I = 24
- 29.36°, I = 19

***

[2]
NiAuO2: theoretical powder diffraction line list (Cu Kα (weighted mean of Kα1 and Kα2)), based on the GGA+U geometry in the Materials Project.

Crystal structure
Unit cell a=3.0334 b=3.0334 c=6.3292 alpha=103.88 beta=103.88 gamma=59.84
Element x y z (fractional)
Ni 0.0000 0.0000 0.0000
Au 0.5000 0.5000 0.5000
O 0.3896 0.3896 0.1688
O 0.6104 0.6104 0.8312

Largest 6 diffraction maxima, most intense first, 15 to 90 degrees two-theta:
- 35.59°, I = 100
- 39.61°, I = 56
- 29.37°, I = 46
- 34.52°, I = 37
- 53.20°, I = 35
- 61.94°, I = 22

***

[3]
SrEuNbVO6: theoretical powder diffraction line list (Cu Kα (weighted mean of Kα1 and Kα2)), based on the GGA+U geometry in the Materials Project.

Crystal structure
Unit cell a=5.6759 b=5.6759 c=5.6759 alpha=60.00 beta=60.00 gamma=60.00
Element x y z (fractional)
Sr 0.0000 0.0000 0.0000
Eu 0.5000 0.5000 0.5000
Nb 0.2500 0.2500 0.2500
V 0.7500 0.7500 0.7500
O 0.0003 0.0003 0.4997
O 0.0003 0.4997 0.0003
O 0.0003 0.4997 0.4997
O 0.4997 0.0003 0.0003
O 0.4997 0.0003 0.4997
O 0.4997 0.4997 0.0003

Largest 6 diffraction maxima, most intense first, 15 to 90 degrees two-theta:
- 31.52°, I = 100
- 56.13°, I = 39
- 45.18°, I = 33
- 65.82°, I = 20
- 74.81°, I = 17
- 38.87°, I = 11